Born 7.14.10 at 4:16pm
7 lbs. 5 oz. 20 in.
For those who are interested (men need not apply), the birth story:
Brian and I made the difficult decision to be induced a bit early. Many of you probably know, but Jonah was 12 days overdue, my water broke, and I still didn't go into labor. He was also 9 lbs. 2 oz. and did a number on me during his delivery. Jonah himself also had some difficulties and needed physical therapy for a few months after birth due to his size. Our very conservative Dr. in Lincoln advised us to induce early with Abby in order to avoid the same delivery scenario occurring, which could possibly cause surgery for me in the future if I had the same difficulty. Abby was induced 4 days early, was 7 lbs. 7 oz., and it was a very easy labor and delivery for both Abby and I. Since this was our first baby in Omaha and we have a new Dr., the decision was really up to us and we decided to stick with our Dr. in Lincoln's advice and induce early to avoid any major complications again. Our Dr. here has no problem inducing at 39 weeks, so at 39 weeks and 1 day we scheduled our induction.
Labor itself was smooth. We got to the hospital at 7 am, I was started on pitocin, and my Dr. came around 8:30 am or so and broke my water. By 10:00 am I was in active labor with contractions 2-3 minutes apart. I was progressing well, got an epidural around noon or so (could there be a more wonderful product of modern medicine??) and at 3:50 pm I was 8 cm dialated. Two contractions later (while both nurse and husband were out of the room!) I could feel I was ready to push. The nurse checked me, and sure enough I was. About 5 minutes later my Dr. was in the room and I all set to push.
Abby was born in two pushes, so I joked that I could have this baby in one push. Not exactly. I had three pushes through the first contraction (pushing MUCH harder than I had to with Abby) and the Dr. could start to see his head. I asked what color his hair was and she said there was not much hair to speak of, but she thought dark. The next contraction I pushed three more times and the Dr. started saying "turn, turn, turn!" (I didn't know why at the time) and she was unsuccessfully trying to turn Levi over as he was face up, instead of face down as babies should be by the time of pushing. On the last contraction I did three more pushes and, with some assistance from my Dr., Levi was born. This is when my Dr. informed me that he had actually come out not only sunny side up, but also with his head tilted up instead of against his chin as babies usually do. When she said she saw no hair, what she was actually looking at was his forehead. She said he basically came out nose first. What a stinker! The nurse and Dr. said that if this was not my third baby and I didn't know how to push, there is now way he would have been born without a c-section. Thank goodness for his "big" big brother who went before him! Other than needing a little help to get the first cry out of him, Levi was born as healthy as can be, albeit with some bruising on the forehead, cheek, and a swollen nose.
On the flip side (boys, plug your ears), I did have similar difficulties to what I had giving birth to Jonah and my recovery has been slow. I lost a significant amount of blood once again and instead of a transfusion, the Dr.'s have decided to see if I can build my iron back up with pills and rest. One week later I still am unable to grocery shop or really do anything too physical for more than 20 minutes or so without being exhausted and even feeling like I need to pass out. Thankfully, we've had some help around here with Brian's parents staying here for the first week, meals from church friends, and Brian able to stay home and help us get into some kind of routine before I go solo on Monday. :)
Levi is a total joy and we are absolutely in love with him. There's nothing like cuddling with a newborn. He is nursing like a champ, sleeping better every night (praise God!!) and becoming more alert every day. Jonah and Abby absolutely love him and are eager to help and cheer him up when he cries. It is such a blessing to see them interact and love on each other. Now, for pictures....
Checking into the hospital. This hospital is actually new and has only been open for about 3 weeks. The nurse had some trouble finding some needed items after Levi's delivery as they are still getting settled, but the food was delicious. :)
Just born. He had a super long piece of umbilical cord as the Dr. was trying to rush to get to me after his delivery and clamped it a bit far out. She also didn't "milk" the cord, so when Brian cut it, blood squirted all over his face, shirt, shorts, and even shoes. :) It was actually pretty funny. Thankfully he had a new shirt to change into before he went out to tell the eager grandparents about the delivery... I think my mom would have passed out.
So happy to finally be able to hold him in my arms.
The grandparents' first time to hold him.
The kids being introduced to Levi for the first time.
Levi gave the kids each a gift. Abby was very excited to get her baby doll from him.
Moving up to post-partum. Shortly after this point, the tornado sirens started going off... We actually had a bit of chaos once we got up there. My epidural hadn't worn off, so we (me on my bed, Levi, Jonah, Abby, Brian, and his parents) were wheeled into the nursery area to wait out the major windstorm. About a half hour later we were finally able to settle in our room.
Jonah holding Levi for the first time. He had been so excited my whole pregnancy for this moment. :)
We are so excited to welcome this guy into our family and have him home. I keep telling Brian that I love the feeling of having three children, no matter how tiring and challenging it may be. He has already been a blessing to us and I can't wait to see him grow and have another little individual running around here! OK, I can wait for the running to begin for a while... :)
### Materials data that have nothing to do with the text
........
{
  "formula": "BiSbTe3",
  "functional": "r²SCAN",
  "state": "relaxed",
  "lattice_angstrom": [[10.720, -2.182, 0.040], [10.720, 2.182, 0.040], [10.261, 0.000, 3.792]],
  "species": ["Bi", "Sb", "Te", "Te", "Te"],
  "fractional_positions": [[0.604, 0.604, 0.604], [0.397, 0.397, 0.397], [0.002, 0.002, 0.002], [0.216, 0.216, 0.216], [0.782, 0.782, 0.782]],
  "sg": "No. 160",
  "magnetic_moment_mub_per_cell": 0.00,
  "crystal_system": "trigonal",
  "formation_enthalpy_0k_ev_per_atom": -0.1993
}



{
  "formula": "Sc5Bi3",
  "functional": "r²SCAN",
  "state": "relaxed",
  "lattice_angstrom": [[7.830, 0.000, 0.000], [0.000, 8.957, 0.000], [0.000, 0.000, 11.337]],
  "species": ["Sc", "Sc", "Sc", "Sc", "Sc", "Sc", "Sc", "Sc", "Sc", "Sc", "Sc", "Sc", "Sc", "Sc", "Sc", "Sc", "Sc", "Sc", "Sc", "Sc", "Bi", "Bi", "Bi", "Bi", "Bi", "Bi", "Bi", "Bi", "Bi", "Bi", "Bi", "Bi"],
  "fractional_positions": [[0.193, 0.065, 0.064], [0.307, 0.065, 0.564], [0.307, 0.435, 0.564], [0.324, 0.750, 0.269], [0.479, 0.750, 0.994], [0.160, 0.250, 0.787], [0.807, 0.935, 0.936], [0.660, 0.750, 0.713], [0.021, 0.750, 0.494], [0.693, 0.935, 0.436], [0.193, 0.435, 0.064], [0.340, 0.250, 0.287], [0.176, 0.750, 0.769], [0.979, 0.250, 0.506], [0.693, 0.565, 0.436], [0.676, 0.250, 0.731], [0.807, 0.565, 0.936], [0.521, 0.250, 0.006], [0.824, 0.250, 0.231], [0.840, 0.750, 0.213], [0.064, 0.491, 0.324], [0.564, 0.509, 0.176], [0.402, 0.750, 0.526], [0.936, 0.991, 0.676], [0.436, 0.009, 0.824], [0.564, 0.991, 0.176], [0.098, 0.750, 0.026], [0.436, 0.491, 0.824], [0.064, 0.009, 0.324], [0.936, 0.509, 0.676], [0.598, 0.250, 0.474], [0.902, 0.250, 0.974]],
  "sg": "No. 62",
  "magnetic_moment_mub_per_cell": 5.66,
  "crystal_system": "orthorhombic",
  "formation_enthalpy_0k_ev_per_atom": -0.6831
}



{
  "formula": "Bi4Se3",
  "functional": "r²SCAN",
  "state": "relaxed",
  "lattice_angstrom": [[13.938, -2.143, 0.037], [13.938, 2.143, 0.037], [13.599, 0.000, 3.733]],
  "species": ["Bi", "Bi", "Bi", "Bi", "Se", "Se", "Se"],
  "fractional_positions": [[0.711, 0.711, 0.711], [0.289, 0.289, 0.289], [0.854, 0.854, 0.854], [0.146, 0.146, 0.146], [0.000, 0.000, 0.000], [0.586, 0.586, 0.586], [0.414, 0.414, 0.414]],
  "sg": "No. 166",
  "magnetic_moment_mub_per_cell": 0.00,
  "crystal_system": "trigonal",
  "formation_enthalpy_0k_ev_per_atom": -0.3033
}



{
  "formula": "BiSe2",
  "functional": "r²SCAN",
  "state": "relaxed",
  "lattice_angstrom": [[0.766, 0.497, -8.607], [0.951, -3.615, -7.806], [-9.062, -2.002, -8.200]],
  "species": ["Bi", "Bi", "Bi", "Bi", "Se", "Se", "Se", "Se", "Se", "Se", "Se", "Se"],
  "fractional_positions": [[0.696, 0.696, 0.912], [0.304, 0.304, 0.088], [0.386, 0.386, 0.405], [0.614, 0.614, 0.595], [0.036, 0.036, 0.058], [0.964, 0.964, 0.942], [0.914, 0.914, 0.548], [0.086, 0.086, 0.452], [0.657, 0.657, 0.159], [0.343, 0.343, 0.841], [0.208, 0.208, 0.655], [0.792, 0.792, 0.345]],
  "sg": "No. 12",
  "magnetic_moment_mub_per_cell": 0.00,
  "crystal_system": "monoclinic",
........
### Back to the text
So happy to finally be able to hold him in my arms.
The grandparents' first time to hold him.
The kids being introduced to Levi for the first time.
Levi gave the kids each a gift. Abby was very excited to get her baby doll from him.
Moving up to post-partum. Shortly after this point, the tornado sirens started going off... We actually had a bit of chaos once we got up there. My epidural hadn't worn off, so we (me on my bed, Levi, Jonah, Abby, Brian, and his parents) were wheeled into the nursery area to wait out the major windstorm. About a half hour later we were finally able to settle in our room.
Jonah holding Levi for the first time. He had been so excited my whole pregnancy for this moment. :)
### These data records were left in the text by mistake
********
(1)
# Sb3AsS6 PBE optimized geometry
data_Sb3AsS6
_symmetry_space_group_name_H-M 'P 1'
_symmetry_Int_Tables_number 1
_symmetry_space_group_name_Hall 'P 1'
_cell_length_a 3.800
_cell_length_b 11.152
_cell_length_c 12.037
_cell_angle_alpha 90.00
_cell_angle_beta 90.00
_cell_angle_gamma 90.00
loop_
_atom_site_label
_atom_site_type_symbol
_atom_site_fract_x
_atom_site_fract_y
_atom_site_fract_z
S1 S 0.000 0.369 0.546
S2 S 0.000 0.631 0.046
S3 S 0.500 0.117 0.455
S4 S 0.500 0.563 0.800
S5 S 0.500 0.883 0.955
S6 S 0.000 0.700 0.373
S7 S 0.500 0.816 0.617
S8 S 0.500 0.184 0.117
S9 S 0.000 0.946 0.202
S10 S 0.000 0.300 0.873
S11 S 0.500 0.437 0.300
S12 S 0.000 0.054 0.702
As1 As 0.000 0.069 0.048
As2 As 0.000 0.931 0.548
Sb1 Sb 0.500 0.415 0.963
Sb2 Sb 0.500 0.215 0.640
Sb3 Sb 0.500 0.585 0.463
Sb4 Sb 0.500 0.785 0.140
Sb5 Sb 0.000 0.722 0.857
Sb6 Sb 0.000 0.278 0.357
# Calculated total energy = -4.388 eV/atom
# E (MP2020) = -93.789 eV for the cell shown
# DFT formation energy = -0.50 eV per atom

(2)
# SmAsS PBE optimized geometry
data_SmAsS
_symmetry_space_group_name_H-M 'P 1'
_symmetry_Int_Tables_number 1
_symmetry_space_group_name_Hall 'P 1'
_cell_length_a 3.893
_cell_length_b 3.922
_cell_length_c 17.391
_cell_angle_alpha 90.00
_cell_angle_beta 90.00
_cell_angle_gamma 90.00
loop_
_atom_site_label
_atom_site_type_symbol
_atom_site_fract_x
_atom_site_fract_y
_atom_site_fract_z
As1 As 0.250 0.715 0.999
As2 As 0.250 0.785 0.499
As3 As 0.750 0.215 0.501
As4 As 0.750 0.285 0.001
Sm1 Sm 0.750 0.755 0.145
Sm2 Sm 0.250 0.255 0.355
Sm3 Sm 0.250 0.245 0.855
Sm4 Sm 0.750 0.745 0.645
S1 S 0.750 0.747 0.813
S2 S 0.250 0.253 0.187
S3 S 0.750 0.753 0.313
S4 S 0.250 0.247 0.687
# Calculated total energy = -6.073 eV/atom
# E (MP2020) = -74.892 eV for the cell shown
# DFT formation energy = -1.74 eV per atom

(3)
# SmAsS PBE optimized geometry
data_SmAsS
_symmetry_space_group_name_H-M 'P 1'
_symmetry_Int_Tables_number 1
_symmetry_space_group_name_Hall 'P 1'
_cell_length_a 3.888
_cell_length_b 3.927
_cell_length_c 17.370
_cell_angle_alpha 90.00
_cell_angle_beta 90.00
_cell_angle_gamma 90.00
loop_
_atom_site_label
_atom_site_type_symbol
_atom_site_fract_x
_atom_site_fract_y
_atom_site_fract_z
S1 S 0.750 0.749 0.813
S2 S 0.250 0.249 0.687
S3 S 0.750 0.751 0.313
S4 S 0.250 0.251 0.187
Sm1 Sm 0.250 0.255 0.354
Sm2 Sm 0.250 0.245 0.854
Sm3 Sm 0.750 0.755 0.146
Sm4 Sm 0.750 0.745 0.646
As1 As 0.250 0.718 0.999
As2 As 0.750 0.282 0.001
As3 As 0.750 0.218 0.501
As4 As 0.250 0.782 0.499
# Calculated total energy = -6.073 eV/atom
# E (MP2020) = -74.883 eV for the cell shown
# DFT formation energy = -1.74 eV per atom

(4)
# SmAsS PBE optimized geometry
data_SmAsS
_symmetry_space_group_name_H-M 'P 1'
_symmetry_Int_Tables_number 1
_symmetry_space_group_name_Hall 'P 1'
_cell_length_a 3.888
********
Abby's turn.
After the kids and everyone left, we saw this huge double rainbow out our window and it almost looked as if it was coming from our house. It was an awesome reminder of God's promises and protection of us. We also saw some great sunrises out this window.
Proud daddy.
# Attached: data records
+++
(1)
PBE Ti2ReRu, relaxed; space-group type = Fm-3m; calculated formation energy = -0.57 eV per atom; E_tot = -9.950 eV/atom
1.0
0.0000 3.1030 3.1030
3.1030 0.0000 3.1030
3.1030 3.1030 0.0000
Ru Re Ti
1 1 2
direct
0.0000 0.0000 0.0000 Ru
0.5000 0.5000 0.5000 Re
0.2500 0.2500 0.2500 Ti
0.7500 0.7500 0.7500 Ti

(2)
PBE Na6Zn4Ga4SiS11O48, relaxed; corrected total energy (MP2020 scheme) = -6.27 eV/atom; space-group type = P1; calculated formation energy = -2.03 eV per atom; E_tot = -5.820 eV/atom
1.0
-5.3342 14.5977 7.6859
-3.5525 -7.6209 2.1804
15.3317 -2.6805 15.9901
Na Ga S O Zn Si
18 12 33 144 12 3
direct
0.6678 0.6679 0.6634 Na
0.8341 0.3254 0.8372 Na
0.6886 0.0002 0.7492 Na
0.5020 0.0021 0.4967 Na
0.0010 0.0015 0.0011 Na
0.4999 0.0000 0.0012 Na
0.9973 0.6341 0.2529 Na
0.3345 0.3350 0.3314 Na
0.3166 0.6440 0.7490 Na
0.9968 0.3623 0.7513 Na
0.6649 0.6559 0.1678 Na
0.1722 0.6867 0.6647 Na
0.3350 0.3141 0.8354 Na
0.9985 0.9984 0.4988 Na
0.8157 0.6393 0.7466 Na
0.8279 0.3438 0.3354 Na
0.8177 0.9977 0.2475 Na
0.1742 0.6694 0.1667 Na
0.3339 0.3146 0.6839 Ga
0.4992 0.0012 0.1514 Ga
0.4953 0.9980 0.6475 Ga
0.9979 0.0054 0.8525 Ga
0.9974 0.9864 0.3510 Ga
0.6662 0.6535 0.3155 Ga
0.9927 0.9947 0.6471 Ga
0.3332 0.3320 0.4811 Ga
0.9945 0.9927 0.1505 Ga
0.6656 0.6675 0.0166 Ga
0.1669 0.6676 0.0163 Ga
0.4934 0.0084 0.8522 Ga
0.8147 0.9623 0.4150 S
0.1661 0.3650 0.4167 S
0.6803 0.0339 0.5847 S
0.8148 0.6670 0.9171 S
0.0193 0.6689 0.4156 S
0.3333 0.0340 0.0834 S
0.3147 0.9658 0.4192 S
0.1468 0.0051 0.2500 S
0.6816 0.3324 0.0821 S
0.4989 0.2913 0.2502 S
0.3541 0.7080 0.2496 S
0.0022 0.7170 0.7499 S
0.4834 0.6341 0.0830 S
0.1826 0.3315 0.0835 S
0.5217 0.3751 0.9170 S
0.3146 0.6662 0.9169 S
0.6640 0.9616 0.9158 S
0.4789 0.3331 0.5825 S
0.0044 0.2912 0.2500 S
0.9841 0.3340 0.5834 S
0.1858 0.0431 0.5836 S
0.3347 0.6194 0.5844 S
0.4988 0.7094 0.7493 S
0.1643 0.9619 0.9171 S
0.0221 0.3749 0.9158 S
0.6417 0.2866 0.7501 S
0.9847 0.6335 0.0826 S
0.8332 0.0353 0.0830 S
0.1452 0.2833 0.7489 S
0.5201 0.6637 0.4170 S
0.8347 0.6300 0.5846 S
0.6657 0.3717 0.4175 S
0.6429 0.9957 0.2506 S
0.5192 0.8258 0.6953 O
0.5905 0.2036 0.6952 O
0.5764 0.6846 0.7551 O
0.7474 0.3575 0.4208 O
0.4142 0.0391 0.8090 O
0.2359 0.1626 0.2437 O
0.5162 0.2137 0.1948 O
0.4316 0.3517 0.9233 O
0.2648 0.6933 0.2530 O
0.5723 0.6890 0.4712 O
0.2485 0.3479 0.4234 O
0.1772 0.8663 0.5785 O
0.5900 0.9706 0.1949 O
0.7559 0.6532 0.5802 O
0.4146 0.5356 0.7421 O
0.9181 0.5404 0.7456 O
0.0812 0.4744 0.2550 O
0.5084 0.8198 0.4104 O
0.0198 0.2141 0.1949 O
0.9210 0.3013 0.2448 O
0.2371 0.3646 0.1373 O
0.7518 0.8524 0.0761 O
0.9061 0.9832 0.4091 O
0.6777 0.8864 0.8602 O
0.0780 0.4616 0.9696 O
0.2714 0.6973 0.9703 O
0.3450 0.5300 0.2430 O
0.5618 0.4797 0.8622 O
0.0738 0.4944 0.5778 O
0.9183 0.7949 0.3078 O
0.3463 0.1833 0.7432 O
0.9481 0.5277 0.1384 O
0.8228 0.5292 0.6417 O
0.2617 0.8941 0.3641 O
0.3246 0.5084 0.9244 O
0.0774 0.6834 0.7547 O
0.6523 0.4523 0.4715 O
0.6700 0.8550 0.5789 O
0.2554 0.6389 0.5799 O
+++
We didn't get pictures of all of our visitors, but here's Aunt Dana holding Levi for the first time.
Cousin Emma, future babysitter in the making.
Cousins Elise and Ethan.
Molly and Dustin, minus their new baby Claire. Molly actually watched Jonah and Abby so Papa and Mimi could be at the hospital during Levi's delivery... thanks Molly!
Heading home.
The first bath at home. Jonah had a hard time watching Levi cry and spent the whole time trying to console him. It was very sweet.
Much better.
Papa and Mimi asked Jonah what he wanted on Levi's birthday cake and Jonah chose "Levi, we're glad you're here". We are!
A fifth grandson for Papa and Mimi. Thanks for all of your help while you were here!!
We are so excited to welcome this guy into our family and have him home. I keep telling Brian that I love the feeling of having three children, no matter how tiring and challenging it may be. He has already been a blessing to us and I can't wait to see him grow and have another little individual running around here! OK, I can wait for the running to begin for a while... :)